B&W G3 not seeing 2nd drive


Im a brand new Mac user..so forgive me if I ask what might appear to be some daft questions.

Running OSX Panther:
Inside my B&W G3 is a 2nd Hard drive, which is connected to a Turbo Max ATA 33 Ultra IDE PCI Card (AEC-6120 U/UF Rev 3.0)

The problem is this.
The main HD is 6gb. I have 450mb of space left on this as I am wanting to cross over to Mac full time..however space is an issue, and I want to use the 2nd drive as storage.

OSX does not see the 2nd drive, nor does it see the PCI card in the Profiler

Is there anything I have to do to get this to work?

Any help greatly appreciated
I've never heard of that PCI IDE card. Are you sure that it is in fact a Mac supported PCI IDE Card, or did you just buy a PC PCI IDE card, hook that up to your drive and your Mac, and it isn't seeing it. PC PCI IDE cards won't be recognized by the Mac. You have to get a Mac Supported PCI IDE Card in order for your Mac to see it and your second hard drive. You can find Mac supported drive controller cards and hard drives online here --> http://eshop.macsales.com/Catalog_D...CD Drives&Template=HardDrives/hdgui2_cfm.html
It's not a question of whether it's Macintosh-compatible -- it's a question of whether it's OS X compatible. Sounds like an older card since it's ATA/33, so OS X may not support it.
Either grab a new, supported card, or a new hard drive. I'd probably grab a new hard drive instead, since you can get a 120gb Seagate 7200rpm at Best Buy right now for around $80 ($130 minus $60 in mail-in rebates).
Yes some first generation B&W's will only support one drive internally.

He indicated that he's using a Turbo Max ATA 33 Ultra IDE PCI Card (AEC-6120 U/UF Rev 3.0), so that first generation B&W internal IDE limitation wouldn't have any effect on OSX seeing this card and the drive attached to it. He also indicated that the previous user used the card under OS9, but that is no guarantee that it would work with OSX. Check with the card manufacturer to determine if there are OSX drivers for it. If not, replace the card with one from OWC at the link in my first post. They sell IDE PCI Drive controller cards that are compatible with OSX.
I'm using a first gen B&W G3, I've had two hard drives in it since about a month after I got it. Never a problem, and they're both connected to the motherboard. I guess I've lucked out..

Incidentally, could it be a connector ordering problem? The colours on an IDE cable do matter:
Blue: The blue connector attaches to the host (motherboard or controller).
Gray: The gray connector in the middle of the cable goes to the slave drive (device 1) if there is one. If there's only a master drive, then it doesn't connect to anything
Black: The black connector is at the opposite end from the blue connector and goes to the master drive (device 0).
I had a problem with the "slave" setting on my G3 when I added a 40 GB disk. I don't remember how I solved it, but by playing with the slave selection on the 6 GB and the new disk, I was able to sort it out.

BTW I don't add a PCI card, I just bought a 2 disks cable and connected both to the motherboard.
Part of your problem is you've got the blue connector connected at the HD end, and the black one at the card end. As I said:
Blue goes to the computer
Black goes to the master
Grey goes to the slave if there is one

Notice that you've got it right on the HD that is recognized, and wrong on the one that isn't.

## Materials data, as found in the file
-- begin --
[1]
Compound: Zr4Mn3
Source: Alexandria via LeMat-Bulk
Functional: PBE-GGA
Structure: relaxed

Lattice parameters (Å, degrees): 12.082 12.082 12.082 164.39 164.39 22.15
Positions (direct):
Zr1 0.065 0.065 0.000
Zr2 0.344 0.344 0.000
Zr3 0.656 0.656 0.000
Zr4 0.935 0.935 0.000
Mn1 0.224 0.224 0.000
Mn2 0.500 0.500 0.000
Mn3 0.776 0.776 0.000

Raw total energy = -8.71 eV per atom
Excess energy over the best structure of this formula in the dataset = 0.097 eV/atom
Size of the total moment = 0.940 μB per atom
Formation enthalpy at 0 K = 0.10 eV per atom

***

[2]
Compound: HgB3Ru
Source: Alexandria via LeMat-Bulk
Functional: PBE-GGA
Structure: relaxed

Lattice parameters (Å, degrees): 4.213 4.213 4.213 90.00 90.00 90.00
Positions (direct):
Hg1 0.000 0.000 0.000
B1 0.000 0.000 0.500
B2 0.000 0.500 0.000
B3 0.500 0.000 0.000
Ru1 0.500 0.500 0.500

Raw total energy = -3.23 eV per atom
Excess energy over the best structure of this formula in the dataset = 1.630 eV/atom
Size of the total moment = 0.191 μB per atom
Formation enthalpy at 0 K = 2.69 eV per atom

***

- Look up the excess energy over the best structure of this formula in the dataset of the second one.
  1.630 eV/atom

----------

<w>
Computed, not measured: a geometry-optimized YHoScTl structure at the PBE level of DFT.

The structure belongs to space group F-43m (No. 216); the cell edges are 7.5816, 7.5816 and 7.5816 Å and the angles 90.00°, 90.00° and 90.00°. Symmetry generates all atoms from Y at (0.0000, 0.0000, 0.0000), Ho at (0.0000, 0.0000, 0.5000), Sc at (0.2500, 0.2500, 0.2500) and Tl at (0.2500, 0.2500, 0.7500).

Its volume is 435.8 Å³ per cell. For the density of states at the Fermi level, the calculation gives 22.2 states/eV per cell. As for the spin magnetization: 5.913 μB per cell.

<x>
Computed, not measured: a geometry-optimized YHoScTl structure at the PBE level of DFT.

The structure belongs to space group Pmmm (No. 47); the cell edges are 4.7065, 4.7657 and 4.7802 Å and the angles 90.00°, 90.00° and 90.00°. Symmetry generates all atoms from Y at (0.0000, 0.0000, 0.0000), Ho at (0.0000, 0.5000, 0.5000), Sc at (0.5000, 0.0000, 0.5000) and Tl at (0.5000, 0.5000, 0.0000).

Its volume is 107.2 Å³ per cell. For the density of states at the Fermi level, the calculation gives 4.3 states/eV per cell. As for the spin magnetization: 1.311 μB per cell.

Unit: meV/atom. Relative energies: <w> 115; <x> 0.

<w>
-- stop --
## The article goes on

That still might not solve things, if your computer won't even see the card itself...
lol. My dad has this same exact problem/ card. I contacted the manufacturer, and it seems that card is not OS X compatible, but the version of it that is 66 instead of 33 works. So... get a new card. :-\
New controller (OWC store): $75 to $130
New Hard drive (120gb @ Best Buy): $80

Materials data, kept here for reference =
- - -
! PBE MgGaH, relaxed; values from VASP
&SYSTEM
  ibrav = 0, nat = 6, ntyp = 3
/
ATOMIC_SPECIES
Mg 24.30 Mg.upf
Ga 69.72 Ga.upf
H 1.01 H.upf
ATOMIC_POSITIONS crystal
Mg 0.000 0.355 0.500
Mg 0.500 0.645 0.000
Ga 0.000 0.891 0.500
Ga 0.500 0.109 0.000
H 0.000 0.500 0.000
H 0.500 0.500 0.500
CELL_PARAMETERS angstrom
3.206 0.000 0.000
0.000 8.041 0.000
0.000 0.000 3.205
! **E_tot**: -8.29 eV per formula unit

! PBE MgGa2H6, relaxed; values from VASP
&SYSTEM
  ibrav = 0, nat = 9, ntyp = 3
/
ATOMIC_SPECIES
Mg 24.30 Mg.upf
Ga 69.72 Ga.upf
H 1.01 H.upf
ATOMIC_POSITIONS crystal
Mg 0.000 0.000 0.000
Ga 0.750 0.750 0.750
Ga 0.250 0.250 0.250
H 0.275 0.725 0.725
H 0.725 0.725 0.275
H 0.725 0.275 0.725
H 0.725 0.275 0.275
H 0.275 0.275 0.725
H 0.275 0.725 0.275
CELL_PARAMETERS angstrom
-2.638 -3.910 -1.044
1.948 -4.404 0.392
-1.426 -2.966 3.537
! **E_tot**: -22.93 eV per formula unit

! PBE MgGaH, relaxed; values from VASP
&SYSTEM
  ibrav = 0, nat = 3, ntyp = 3
/
ATOMIC_SPECIES
H 1.01 H.upf
Mg 24.30 Mg.upf
Ga 69.72 Ga.upf
ATOMIC_POSITIONS crystal
H 0.275 0.275 0.551
Mg 0.480 0.480 0.960
Ga 0.095 0.095 0.189
CELL_PARAMETERS angstrom
-0.666 -3.546 -0.301
2.735 -0.705 2.265
-3.902 2.364 2.554
! **E_tot**: -7.68 eV per formula unit

! PBE MgGaH, relaxed; values from VASP
&SYSTEM
  ibrav = 0, nat = 6, ntyp = 3
/
ATOMIC_SPECIES
Mg 24.30 Mg.upf
Ga 69.72 Ga.upf
H 1.01 H.upf
ATOMIC_POSITIONS crystal
Mg 0.385 0.384 0.845
Mg 0.615 0.616 0.155
Ga 0.868 0.869 0.395
Ga 0.132 0.131 0.605
H 0.695 0.691 0.920
H 0.305 0.309 0.080
CELL_PARAMETERS angstrom
3.238 0.000 0.000
1.619 2.802 -0.030
1.619 1.082 9.318
! **E_tot**: -8.23 eV per formula unit

! PBE Mg12Ga3H5, relaxed; values from VASP
&SYSTEM
  ibrav = 0, nat = 80, ntyp = 3
/
ATOMIC_SPECIES
Ga 69.72 Ga.upf
H 1.01 H.upf
Mg 24.30 Mg.upf
ATOMIC_POSITIONS crystal
Ga 0.750 0.375 0.125
Ga 0.875 0.750 0.125
Ga 0.375 0.750 0.625
Ga 0.250 0.125 0.375
Ga 0.875 0.125 0.250
Ga 0.375 0.625 0.250
Ga 0.625 0.375 0.750
Ga 0.125 0.875 0.750
Ga 0.750 0.875 0.625
Ga 0.625 0.250 0.375
Ga 0.125 0.250 0.875
Ga 0.250 0.625 0.875
H 0.125 0.375 0.250
H 0.000 0.500 0.000
H 0.000 0.000 0.000
H 0.375 0.250 0.125
H 0.500 0.000 0.500
H 0.500 0.500 0.000
H 0.125 0.750 0.375
H 0.750 0.125 0.875
H 0.750 0.625 0.375
H 0.375 0.125 0.750
H 0.625 0.875 0.250
H 0.500 0.500 0.500
H 0.500 0.000 0.000
H 0.000 0.000 0.500
H 0.250 0.375 0.625
H 0.250 0.875 0.125
H 0.000 0.500 0.500
H 0.875 0.250 0.625
H 0.625 0.750 0.875
H 0.875 0.625 0.750
Mg 0.705 0.112 0.016
Mg 0.311 0.516 0.404
Mg 0.984 0.388 0.295
Mg 0.516 0.205 0.112
Mg 0.593 0.705 0.689
Mg 0.984 0.596 0.189
Mg 0.311 0.795 0.407
Mg 0.096 0.907 0.112
Mg 0.596 0.984 0.689
Mg 0.705 0.593 0.189
Mg 0.795 0.484 0.388
Mg 0.811 0.904 0.016
Mg 0.112 0.705 0.516
Mg 0.388 0.404 0.093
Mg 0.093 0.904 0.388
Mg 0.407 0.112 0.596
Mg 0.093 0.189 0.205
Mg 0.484 0.689 0.096
Mg 0.811 0.907 0.295
Mg 0.112 0.407 0.096
Mg 0.388 0.984 0.795
Mg 0.596 0.612 0.407
Mg 0.904 0.811 0.516
Mg 0.795 0.311 0.907
Mg 0.404 0.388 0.593
- - -

I'd buy a new drive and forget about the controller...
Problem solved.
connected a dual IDE cable and it worked first time.
Woo hoo!

Thanks everyone for your help and suggestions
